
The Tin-man With No Heart

I walk up to the stairs leading into the entrance of the gigantic school. Even though I have walked up these steps so many times the thought that each step I take is one closer to high school excites me. Oh how much I have wished for this day.

I frolic into the school my chin held high knowing that I'm officially here. Sadly I start to lose my new found confidence quite quickly once I realise that I have no idea where I'm going. I lean by a wall and take my phone out of my bag to check my schedule.


First Period - Mathematics - Room 132


Now having a idea as to where I'm headed I look around for the nearest class and see the number '131' on the door. I guess the class isn't so far away.

After I walk back down the hall I finally find the class 132 and walk in. I feel kind of awkward since the class is packed full of people. I see some people I know but only acquaintances. I decide to just find a place to sit down since I have nothing better to do. Luckily I sat in the only place where nobody else is sitting so I don't have to deal with human interaction.

After what feels like hours the bell rings for class to start. The teacher walks in he looks about in his 60's. He begins to welcome us all into high school and starts saying the basics about what we will be doing all year. Suddenly somebody knocks at the door to the class. The teacher gets up and opens the door. "What are you doing here boy." the teacher said "You should be in class". Then I hear a familiar voice creep into the room sending shivers down my spine. I pray it isn't him and that all the confidence I've worked up for this year doesn't all crumble into ashes. Then the teacher opens the door to reveal him. The one person I don't want to see EVER again.

Luke... As soon as I see him I look away making a sad attempt to hide my face. You see last year I got my friend to tell him I liked him sadly. He regetted me and lied about having a girlfriend.

"This is my class I just got lost that's all" says Luke.

"Well then sonny that's okay it is your first day. Just sit in that empty seat over there."

Quantum chemistry results, kept here for reference:
/*
Below is the ion C9H15ClN4O with charge +2, with properties calculated with ωB97M-V with the def2-TZVPD basis set.

Geometry (Å):
C: -2.098 1.454 -1.128
C: -3.093 0.480 -0.672
N: -4.324 0.901 -0.312
N: -2.879 -0.800 -0.756
C: -1.794 -1.569 -1.043
N: -0.588 -1.478 -0.616
C: -0.237 -0.570 0.358
C: -1.002 0.025 1.348
Cl: -2.509 -0.414 1.904
N: 1.141 -0.123 0.309
C: 2.133 -0.741 -0.320
O: 2.028 -1.906 -0.864
C: 3.575 -0.370 0.002
C: 3.939 0.988 0.415
C: 3.906 -0.043 1.455
H: -1.552 1.029 -1.887
H: -1.322 1.739 -0.434
H: -2.599 2.345 -1.667
H: -4.388 1.854 -0.397
H: -5.047 0.507 0.098
H: -3.684 -1.418 -0.455
H: -1.977 -2.477 -1.740
H: -0.538 0.645 2.152
H: 1.312 0.588 1.016
H: 1.127 -2.377 -0.648
H: 4.242 -0.863 -0.689
H: 3.413 1.883 0.494
H: 4.947 1.217 0.271
H: 4.852 -0.586 1.796
H: 3.016 0.082 2.012

The gap between HOMO and LUMO comes out at 8.2 eV. As for the calculated total energy: -1105.68866 Eh. The value obtained for the relative energy (zero: lowest compared OMol25 entry of this formula, charge and spin) is 26.56 kcal per mole. The calculation puts the molecular weight at 230.7 u. As for the total charge: +2.
*/
The article goes on:

I immediately look around the class to see who he is sitting beside. Even though he crushed my heart I still was curious. I see no clear seats just as I come to the realisation that the seat beside is empty. I feel somebody is beside me. So I slowly look over and it's him. I haven't seen him in person in so long that I forgot how gorgeous he was. He short black hair and brown eyes. His adorable freckles that contrast perfectly with his pale skin. Wow. I'm a pervert.

He then turns his head towards me and stares at me with those beautiful brown eyes. I then break the eye contact and listen to the lesson. I can't let him distract me.

By the middle of the class after the teacher finishes rambling on about some dumb you choose your future speech he says "I've bored you enough. How about you all talk with your fellow class mates. Since its your first day."

I lay my head onto the desk. As if this could get more awkward. Then I feel a tap on my shoulders. I lift up my head and see Luke staring intently into my eyes. He then says "So Amy long time no see. How have you been?"

Um.. horrible! I just got you out of my head and now I have to deal with you and you're perfectly sculpted face for a whole semester.

"Yeah, I've been pretty good. How about you?"

"Fine." He says almost roboticially.

Ugh I hate how he does that he is impossible to read one moment a human being next the tinman with no heart from the wizard of oz.

"Still the emotionless robot I see.."

He just sits there and stares at me. I wonder why he is I mean I've been sitting here silently. Then I realize. "DID I SAY THAT OUT LOUD". I yelled terrified of what he must be thinking.

"Still the cute clumsy girl I see." He said jokingly. My eyes widen bigger than a school bus. I feel my face flush. I must be as red as an apple. I look over at him and just as I'm about to respond the bell rings.

Is this good I mean I don't know how long to make chapters. I am also sorry about my grammar errors. English is my first language it's just I'm too lazy to check over it...

And I did warn you about the cliches so if your not a fan of that I'm sorry. I just want to pretend that person is me so I can pretend my real world crush loves me.?????

Anyways that all??

EmojiQweencreators' thoughts